Could you quote the whole of the block below without altering anything?
The following is a simulated powder X-ray diffraction pattern of Dy3VO7. It was derived from the PBE+U geometry in Alexandria, using a wavelength of 1.5418 Å.
Peak positions follow from Bragg's law for the DFT cell and can differ from measured ones.

Cell and atoms:
```
data_Dy3VO7
_chemical_formula_sum 'Dy12 V4 O28'
_cell_length_a 7.5319
_cell_length_b 10.3808
_cell_length_c 7.3168
_cell_angle_alpha 90.00
_cell_angle_beta 90.00
_cell_angle_gamma 90.00
_space_group_name_H-M_alt 'C 2 2 21'
_space_group_IT_number 20
loop_
_space_group_symop_operation_xyz
'x,y,z'
'-x,-y,z+1/2'
'x,-y,-z'
'-x,y,-z+1/2'
'x+1/2,y+1/2,z'
'-x+1/2,-y+1/2,z+1/2'
'x+1/2,-y+1/2,-z'
'-x+1/2,y+1/2,-z+1/2'
loop_
_atom_site_label
_atom_site_fract_x
_atom_site_fract_y
_atom_site_fract_z
Dy1 0.0490 0.0000 0.0000
Dy2 0.2308 0.2718 0.7618
V1 0.0063 0.5000 0.0000
O1 0.0000 0.1293 0.2500
O2 0.0000 0.1399 0.7500
O3 0.0000 0.4398 0.7500
O4 0.1659 0.3747 0.0466
O5 0.1986 0.3772 0.4782
```

Principal peaks in the range 15° ≤ 2θ ≤ 90°, low angle first:
h k l	2theta	I/Imax
1 3 0	28.43	12
2 2 0	29.30	97
0 2 2	29.88	100
2 0 2	34.17	43
0 4 0	34.56	20
2 4 1	44.16	12
4 0 0	48.34	9
2 4 2	49.39	49
0 0 4	49.85	17
4 2 2	57.87	16
2 2 4	58.88	25
0 6 2	59.07	13

=====

1.
Calculated XRD peak list of Ca3WO6 for CuKα, from DFT lattice parameters and positions (GGA+U).
No peak broadening, texture or thermal motion is included.

Crystal structure
abc: 6.611 6.611 6.611
angles: 91.53 91.53 91.53
Positions (direct):
Ca: 0.062 0.752 0.566
Ca: 0.248 0.434 0.938
Ca: 0.434 0.938 0.248
Ca: 0.566 0.062 0.752
Ca: 0.752 0.566 0.062
Ca: 0.938 0.248 0.434
W: 0.000 0.000 0.000
W: 0.500 0.500 0.500
O: 0.047 0.717 0.922
O: 0.078 0.953 0.283
O: 0.217 0.432 0.562
O: 0.283 0.078 0.953
O: 0.432 0.562 0.217
O: 0.438 0.783 0.568
O: 0.562 0.217 0.432
O: 0.568 0.438 0.783
O: 0.717 0.922 0.047
O: 0.783 0.568 0.438
O: 0.922 0.047 0.717
O: 0.953 0.283 0.078

Main lines, sorted by position (2θ from 15° to 90°):
2θ 18.73, rel. 88
2θ 19.26, rel. 100
2θ 26.99, rel. 72
2θ 32.75, rel. 29
2θ 33.06, rel. 74
2θ 33.99, rel. 22
2θ 42.94, rel. 34
2θ 43.68, rel. 48
2θ 51.01, rel. 32
2θ 51.89, rel. 26

2.
Calculated XRD peak list of Li2FeCO5 for CuKα, from DFT lattice parameters and positions (GGA+U).
No peak broadening, texture or thermal motion is included.

Crystal structure
abc: 9.341 12.292 2.915
angles: 90.00 90.00 90.00
Positions (direct):
Li: 0.000 0.000 0.000
Li: 0.000 0.500 0.500
Li: 0.008 0.220 0.500
Li: 0.492 0.720 0.500
Li: 0.500 0.000 0.500
Li: 0.500 0.500 0.000
Li: 0.508 0.280 0.500
Li: 0.992 0.780 0.500
Fe: 0.246 0.387 0.000
Fe: 0.254 0.887 0.000
Fe: 0.746 0.113 0.000
Fe: 0.754 0.613 0.000
C: 0.229 0.639 0.000
C: 0.271 0.139 0.000
C: 0.729 0.861 0.000
C: 0.771 0.361 0.000
O: 0.120 0.358 0.500
O: 0.126 0.920 0.500
O: 0.134 0.139 0.000
O: 0.155 0.548 0.000
O: 0.156 0.730 0.000
O: 0.344 0.230 0.000
O: 0.345 0.048 0.000
O: 0.366 0.639 0.000
O: 0.374 0.420 0.500
O: 0.380 0.858 0.500
O: 0.620 0.142 0.500
O: 0.626 0.580 0.500
O: 0.634 0.361 0.000
O: 0.655 0.952 0.000
O: 0.656 0.770 0.000
O: 0.844 0.270 0.000
O: 0.845 0.452 0.000
O: 0.866 0.861 0.000
O: 0.874 0.080 0.500
O: 0.880 0.642 0.500

Main lines, sorted by position (2θ from 15° to 90°):
2θ 17.27, rel. 83
2θ 19.00, rel. 100
2θ 29.06, rel. 36
2θ 30.67, rel. 42
2θ 34.95, rel. 34
2θ 36.33, rel. 53
2θ 45.09, rel. 46
2θ 47.17, rel. 20
2θ 58.92, rel. 21
2θ 60.79, rel. 22

3.
Calculated XRD peak list of Li9Mn2Co5O16 for CuKα, from DFT lattice parameters and positions (GGA+U).
No peak broadening, texture or thermal motion is included.

Crystal structure
abc: 5.154 6.444 8.589
angles: 96.97 94.47 95.99
Positions (direct):
Li: 0.000 0.000 0.000
Li: 0.000 0.236 0.744
Li: 0.003 0.506 0.504
Li: 0.006 0.751 0.261
Li: 0.254 0.936 0.565
Li: 0.504 0.115 0.870
Li: 0.505 0.371 0.625
Li: 0.505 0.631 0.385
Li: 0.511 0.880 0.129
Mn: 0.754 0.060 0.442
Mn: 0.754 0.562 0.938
Co: 0.253 0.691 0.809
Co: 0.254 0.187 0.315
Co: 0.255 0.434 0.067
Co: 0.754 0.311 0.190
Co: 0.754 0.810 0.691
The following is a simulated powder X-ray diffraction pattern of Dy3VO7. It was derived from the PBE+U geometry in Alexandria, using a wavelength of 1.5418 Å.
Peak positions follow from Bragg's law for the DFT cell and can differ from measured ones.

Cell and atoms:
```
data_Dy3VO7
_chemical_formula_sum 'Dy12 V4 O28'
_cell_length_a 7.5319
_cell_length_b 10.3808
_cell_length_c 7.3168
_cell_angle_alpha 90.00
_cell_angle_beta 90.00
_cell_angle_gamma 90.00
_space_group_name_H-M_alt 'C 2 2 21'
_space_group_IT_number 20
loop_
_space_group_symop_operation_xyz
'x,y,z'
'-x,-y,z+1/2'
'x,-y,-z'
'-x,y,-z+1/2'
'x+1/2,y+1/2,z'
'-x+1/2,-y+1/2,z+1/2'
'x+1/2,-y+1/2,-z'
'-x+1/2,y+1/2,-z+1/2'
loop_
_atom_site_label
_atom_site_fract_x
_atom_site_fract_y
_atom_site_fract_z
Dy1 0.0490 0.0000 0.0000
Dy2 0.2308 0.2718 0.7618
V1 0.0063 0.5000 0.0000
O1 0.0000 0.1293 0.2500
O2 0.0000 0.1399 0.7500
O3 0.0000 0.4398 0.7500
O4 0.1659 0.3747 0.0466
O5 0.1986 0.3772 0.4782
```

Principal peaks in the range 15° ≤ 2θ ≤ 90°, low angle first:
h k l	2theta	I/Imax
1 3 0	28.43	12
2 2 0	29.30	97
0 2 2	29.88	100
2 0 2	34.17	43
0 4 0	34.56	20
2 4 1	44.16	12
4 0 0	48.34	9
2 4 2	49.39	49
0 0 4	49.85	17
4 2 2	57.87	16
2 2 4	58.88	25
0 6 2	59.07	13

=====

1.
Calculated XRD peak list of Ca3WO6 for CuKα, from DFT lattice parameters and positions (GGA+U).
No peak broadening, texture or thermal motion is included.

Crystal structure
abc: 6.611 6.611 6.611
angles: 91.53 91.53 91.53
Positions (direct):
Ca: 0.062 0.752 0.566
Ca: 0.248 0.434 0.938
Ca: 0.434 0.938 0.248
Ca: 0.566 0.062 0.752
Ca: 0.752 0.566 0.062
Ca: 0.938 0.248 0.434
W: 0.000 0.000 0.000
W: 0.500 0.500 0.500
O: 0.047 0.717 0.922
O: 0.078 0.953 0.283
O: 0.217 0.432 0.562
O: 0.283 0.078 0.953
O: 0.432 0.562 0.217
O: 0.438 0.783 0.568
O: 0.562 0.217 0.432
O: 0.568 0.438 0.783
O: 0.717 0.922 0.047
O: 0.783 0.568 0.438
O: 0.922 0.047 0.717
O: 0.953 0.283 0.078

Main lines, sorted by position (2θ from 15° to 90°):
2θ 18.73, rel. 88
2θ 19.26, rel. 100
2θ 26.99, rel. 72
2θ 32.75, rel. 29
2θ 33.06, rel. 74
2θ 33.99, rel. 22
2θ 42.94, rel. 34
2θ 43.68, rel. 48
2θ 51.01, rel. 32
2θ 51.89, rel. 26

2.
Calculated XRD peak list of Li2FeCO5 for CuKα, from DFT lattice parameters and positions (GGA+U).
No peak broadening, texture or thermal motion is included.

Crystal structure
abc: 9.341 12.292 2.915
angles: 90.00 90.00 90.00
Positions (direct):
Li: 0.000 0.000 0.000
Li: 0.000 0.500 0.500
Li: 0.008 0.220 0.500
Li: 0.492 0.720 0.500
Li: 0.500 0.000 0.500
Li: 0.500 0.500 0.000
Li: 0.508 0.280 0.500
Li: 0.992 0.780 0.500
Fe: 0.246 0.387 0.000
Fe: 0.254 0.887 0.000
Fe: 0.746 0.113 0.000
Fe: 0.754 0.613 0.000
C: 0.229 0.639 0.000
C: 0.271 0.139 0.000
C: 0.729 0.861 0.000
C: 0.771 0.361 0.000
O: 0.120 0.358 0.500
O: 0.126 0.920 0.500
O: 0.134 0.139 0.000
O: 0.155 0.548 0.000
O: 0.156 0.730 0.000
O: 0.344 0.230 0.000
O: 0.345 0.048 0.000
O: 0.366 0.639 0.000
O: 0.374 0.420 0.500
O: 0.380 0.858 0.500
O: 0.620 0.142 0.500
O: 0.626 0.580 0.500
O: 0.634 0.361 0.000
O: 0.655 0.952 0.000
O: 0.656 0.770 0.000
O: 0.844 0.270 0.000
O: 0.845 0.452 0.000
O: 0.866 0.861 0.000
O: 0.874 0.080 0.500
O: 0.880 0.642 0.500

Main lines, sorted by position (2θ from 15° to 90°):
2θ 17.27, rel. 83
2θ 19.00, rel. 100
2θ 29.06, rel. 36
2θ 30.67, rel. 42
2θ 34.95, rel. 34
2θ 36.33, rel. 53
2θ 45.09, rel. 46
2θ 47.17, rel. 20
2θ 58.92, rel. 21
2θ 60.79, rel. 22

3.
Calculated XRD peak list of Li9Mn2Co5O16 for CuKα, from DFT lattice parameters and positions (GGA+U).
No peak broadening, texture or thermal motion is included.

Crystal structure
abc: 5.154 6.444 8.589
angles: 96.97 94.47 95.99
Positions (direct):
Li: 0.000 0.000 0.000
Li: 0.000 0.236 0.744
Li: 0.003 0.506 0.504
Li: 0.006 0.751 0.261
Li: 0.254 0.936 0.565
Li: 0.504 0.115 0.870
Li: 0.505 0.371 0.625
Li: 0.505 0.631 0.385
Li: 0.511 0.880 0.129
Mn: 0.754 0.060 0.442
Mn: 0.754 0.562 0.938
Co: 0.253 0.691 0.809
Co: 0.254 0.187 0.315
Co: 0.255 0.434 0.067
Co: 0.754 0.311 0.190
Co: 0.754 0.810 0.691